Wanted >
Quote the lines below from the one with "0.935" to the one with "-20166.757 eV" character by character, please.

Given >
=====
1.
The following is a DFT calculation (the ωB97M-V functional and the def2-TZVPD basis) of a molecular structure, C3H5O3Pr.

Last column: Mulliken charge in e.
Element x y z (Å)
H: -0.7711 1.5361 0.0693  0.248
C: 0.2093 1.2574 0.4948  -0.229
C: 1.2179 0.6486 -0.4220  -0.698
O: 0.5549 -0.3767 -1.2498  -0.238
C: -0.3879 -1.0854 -0.7367  0.122
O: -0.8259 -1.8968 -1.6948  -0.363
Pr: -1.8194 -1.0631 2.1988  1.435
O: 0.0479 0.1961 1.5037  -0.575
H: 0.6716 2.1120 1.0123  0.224
H: 1.0479 -0.2330 1.2944  0.485
H: 1.5273 1.4047 -1.1569  0.228
H: -1.4724 -2.4997 -1.3133  0.361

## Properties
**Charge**: +1
**Total energy**: -23390.312 eV
**LUMO (spin up / spin down)**: -5.5 / -5.5 eV
**Energy relative to the best compared isomer or geometry (same formula, charge and spin)**: 520.0 kJ/mol
**Multiplicity**: 4
**F_max**: 2.097 eV Å⁻¹
**HOMO energy (spin up / spin down)**: -0.375 / -0.376 hartree
**⟨S²⟩**: 3.7524



2.
The following is a DFT calculation (the ωB97M-V functional and the def2-TZVPD basis) of a molecular structure, C3H5O3Pr.

Last column: Mulliken charge in e.
Element x y z (Å)
H: -1.7580 -1.9052 0.3955  0.425
O: 0.8144 -1.2517 -0.2186  -0.552
C: -0.3517 -0.8673 -0.3503  0.935
C: -2.7371 0.5363 0.8540  -0.060
O: -0.5226 0.4371 -0.1821  -0.427
O: -1.4361 -1.5675 -0.4555  -0.396
C: -1.8736 1.0809 -0.2089  -0.128
H: -2.3565 0.4789 1.8744  0.356
H: -3.7636 0.2493 0.6309  0.347
H: -1.6139 2.1356 -0.0591  0.370
H: -2.2673 0.9109 -1.2155  0.364
Pr: 2.1401 0.6520 0.1812  1.765

## Properties
**Charge**: +3
**Total energy**: -23367.107 eV
**LUMO (spin up / spin down)**: -16.5 / -16.5 eV
**Energy relative to the best compared isomer or geometry (same formula, charge and spin)**: 5.2 kJ/mol
**Multiplicity**: 4
**F_max**: 2.622 eV Å⁻¹
**HOMO energy (spin up / spin down)**: -0.733 / -0.933 hartree
**⟨S²⟩**: 3.7518



3.
The following is a DFT calculation (the ωB97M-V functional and the def2-TZVPD basis) of a molecular structure, C3H5O3Pt.

Last column: Mulliken charge in e.
Element x y z (Å)
H: 1.3462 -1.6016 0.0592  0.335
C: 1.7532 -0.5789 0.0842  -0.401
C: 0.8813 0.3772 0.9375  -0.160
O: -0.5128 0.1265 0.9999  -0.227
C: -1.2824 -0.0035 -0.0251  0.155
O: -2.5089 0.0028 0.3553  -0.251
H: 2.7534 -0.5795 0.5359  0.398
H: 1.7810 1.1480 0.7970  0.354
H: -3.1287 0.0952 -0.3825  0.435
Pt: -0.3704 0.0004 -1.8760  1.167
O: 1.3172 0.1646 -1.0941  -0.214
H: 1.1602 0.2630 1.9966  0.409

## Properties
**Charge**: +2
**Total energy**: -12552.786 eV
**LUMO (spin up / spin down)**: -10.9 / -14.0 eV
**Energy relative to the best compared isomer or geometry (same formula, charge and spin)**: 0.0 kJ/mol
**Multiplicity**: 4
**F_max**: 5.382 eV Å⁻¹
**HOMO energy (spin up / spin down)**: -0.731 / -0.774 hartree
**⟨S²⟩**: 3.7613



4.
The following is a DFT calculation (the ωB97M-V functional and the def2-TZVPD basis) of 2 unconnected molecules or ions with the total composition C3H5O3S.

Last column: Mulliken charge in e.
Element x y z (Å)
C: -2.2121 -0.7640 0.0182  -0.363
C: -1.4168 0.1924 -0.4770  -0.537
C: 0.4983 0.5716 0.7811  -0.081
O: 2.2220 0.3102 -1.2861  -0.494
O: 2.6879 -1.0440 0.6694  -0.610
O: 0.9723 1.7671 0.4370  -0.789
S: 1.5620 -0.7456 -0.2176  0.462
H: -3.1989 -1.0073 -0.4336  0.253
H: -1.7942 -1.4285 0.9099  0.089
H: -1.5240 0.8443 -1.3419  0.250
H: 0.1441 0.1482 1.6494  0.433
H: 2.0592 1.1557 -0.7088  0.386

## Properties
**Charge**: -1
**Total energy**: -20166.757 eV
**LUMO**: 3.9 eV
**Energy relative to the best compared isomer or geometry (same formula, charge and spin)**: 419.0 kJ/mol
**F_max**: 8.263 eV Å⁻¹
**HOMO energy**: -0.126 hartree



5.
The following is a DFT calculation (the ωB97M-V functional and the def2-TZVPD basis) of a molecular structure, C3H5O3Tl.

Last column: Mulliken charge in e.
Element x y z (Å)
H: -2.3103 -0.5347 -0.7977  0.354
O: -0.1854 1.5576 0.8294  -0.578
C: 0.9336 1.0994 0.5432  0.820
C: -1.4578 -0.0467 -0.3032  -1.007
O: 2.0345 1.6892 0.4392  -0.672
O: 0.9910 -0.1382 -0.0594  -0.390
=====

Here it is >
C: -0.3517 -0.8673 -0.3503  0.935
C: -2.7371 0.5363 0.8540  -0.060
O: -0.5226 0.4371 -0.1821  -0.427
O: -1.4361 -1.5675 -0.4555  -0.396
C: -1.8736 1.0809 -0.2089  -0.128
H: -2.3565 0.4789 1.8744  0.356
H: -3.7636 0.2493 0.6309  0.347
H: -1.6139 2.1356 -0.0591  0.370
H: -2.2673 0.9109 -1.2155  0.364
Pr: 2.1401 0.6520 0.1812  1.765

## Properties
**Charge**: +3
**Total energy**: -23367.107 eV
**LUMO (spin up / spin down)**: -16.5 / -16.5 eV
**Energy relative to the best compared isomer or geometry (same formula, charge and spin)**: 5.2 kJ/mol
**Multiplicity**: 4
**F_max**: 2.622 eV Å⁻¹
**HOMO energy (spin up / spin down)**: -0.733 / -0.933 hartree
**⟨S²⟩**: 3.7518



3.
The following is a DFT calculation (the ωB97M-V functional and the def2-TZVPD basis) of a molecular structure, C3H5O3Pt.

Last column: Mulliken charge in e.
Element x y z (Å)
H: 1.3462 -1.6016 0.0592  0.335
C: 1.7532 -0.5789 0.0842  -0.401
C: 0.8813 0.3772 0.9375  -0.160
O: -0.5128 0.1265 0.9999  -0.227
C: -1.2824 -0.0035 -0.0251  0.155
O: -2.5089 0.0028 0.3553  -0.251
H: 2.7534 -0.5795 0.5359  0.398
H: 1.7810 1.1480 0.7970  0.354
H: -3.1287 0.0952 -0.3825  0.435
Pt: -0.3704 0.0004 -1.8760  1.167
O: 1.3172 0.1646 -1.0941  -0.214
H: 1.1602 0.2630 1.9966  0.409

## Properties
**Charge**: +2
**Total energy**: -12552.786 eV
**LUMO (spin up / spin down)**: -10.9 / -14.0 eV
**Energy relative to the best compared isomer or geometry (same formula, charge and spin)**: 0.0 kJ/mol
**Multiplicity**: 4
**F_max**: 5.382 eV Å⁻¹
**HOMO energy (spin up / spin down)**: -0.731 / -0.774 hartree
**⟨S²⟩**: 3.7613



4.
The following is a DFT calculation (the ωB97M-V functional and the def2-TZVPD basis) of 2 unconnected molecules or ions with the total composition C3H5O3S.

Last column: Mulliken charge in e.
Element x y z (Å)
C: -2.2121 -0.7640 0.0182  -0.363
C: -1.4168 0.1924 -0.4770  -0.537
C: 0.4983 0.5716 0.7811  -0.081
O: 2.2220 0.3102 -1.2861  -0.494
O: 2.6879 -1.0440 0.6694  -0.610
O: 0.9723 1.7671 0.4370  -0.789
S: 1.5620 -0.7456 -0.2176  0.462
H: -3.1989 -1.0073 -0.4336  0.253
H: -1.7942 -1.4285 0.9099  0.089
H: -1.5240 0.8443 -1.3419  0.250
H: 0.1441 0.1482 1.6494  0.433
H: 2.0592 1.1557 -0.7088  0.386

## Properties
**Charge**: -1
**Total energy**: -20166.757 eV